**File**
Li8AcPd4: relaxed, GGA-PBE.

N(E_F) = 5.47 states/eV/cell
E = -0.1276 hartree per atom

Cell lengths 8.888, 8.888, 5.596 Å; angles 90.00, 90.00, 90.00 degrees
Space group I4/mmm (No. 139)
Unique sites:
1 Li 0.000 0.230 0.000 [8 per cell]
2 Li 0.000 0.351 0.500 [8 per cell]
3 Ac 0.000 0.000 0.500 [2 per cell]
4 Pd 0.250 0.250 0.250 [8 per cell]


1.
# LiMgGa3

Crystalline LiMgGa3 at its relaxed geometry (PBE, Alexandria via LeMat-Bulk).

## Properties
Volume, Å³/atom: 20.2
Energy of formation, eV per atom: 0.1687
N(E_F), states/eV/cell: 2.165
DFT total energy, eV/cell: -11.7
Total moment, μB/atom: 0.00

Cell lengths 4.657, 4.657, 4.657 Å; angles 90.00, 90.00, 90.00 degrees
Fractional positions:
1 Li 0.000 0.000 0.000
2 Mg 0.500 0.500 0.500
3 Ga 0.000 0.000 0.500
4 Ga 0.000 0.500 0.000
5 Ga 0.500 0.000 0.000

=====

2.
# LiMg5Ga

Crystalline LiMg5Ga at its relaxed geometry (PBE, Alexandria via LeMat-Bulk).

## Properties
Volume, Å³/atom: 23.3
Energy of formation, eV per atom: 0.0621
N(E_F), states/eV/cell: 4.166
DFT total energy, eV/cell: -25.0
Total moment, μB/atom: 0.00

Cell lengths 6.041, 6.041, 10.448 Å; angles 110.45, 110.45, 71.67 degrees
Fractional positions:
1 Li 0.082 0.918 0.750
2 Li 0.918 0.082 0.250
3 Mg 0.154 0.386 0.745
4 Mg 0.251 0.526 0.509
5 Mg 0.335 0.665 0.250
6 Mg 0.386 0.154 0.245
7 Mg 0.474 0.749 0.991
8 Mg 0.526 0.251 0.009
9 Mg 0.614 0.846 0.755
10 Mg 0.665 0.335 0.750
11 Mg 0.749 0.474 0.491
12 Mg 0.846 0.614 0.255
13 Ga 0.000 0.500 0.000
14 Ga 0.500 0.000 0.500

=====

3.
# Li5Mg2Ga

Crystalline Li5Mg2Ga at its relaxed geometry (PBE, Alexandria via LeMat-Bulk).

## Properties
Volume, Å³/atom: 18.0
Energy of formation, eV per atom: -0.1395
N(E_F), states/eV/cell: 2.979
DFT total energy, eV/cell: -16.9
Total moment, μB/atom: 0.00

Cell lengths 7.311, 7.311, 7.311 Å; angles 142.43, 142.43, 54.18 degrees
Fractional positions:
1 Li 0.000 0.000 0.000
2 Li 0.111 0.611 0.500
3 Li 0.389 0.889 0.500
4 Li 0.611 0.111 0.500
5 Li 0.889 0.389 0.500
6 Mg 0.260 0.260 0.000
7 Mg 0.740 0.740 0.000
8 Ga 0.500 0.500 0.000

=====

4.
# Li3MgGa7

Crystalline Li3MgGa7 at its relaxed geometry (PBE, Alexandria via LeMat-Bulk).

## Properties
Volume, Å³/atom: 19.2
Energy of formation, eV per atom: -0.0799
N(E_F), states/eV/cell: 3.013
DFT total energy, eV/cell: -29.4
Total moment, μB/atom: 0.00

Cell lengths 6.568, 6.568, 5.431 Å; angles 108.43, 108.43, 84.95 degrees
Fractional positions:
1 Li 0.000 0.000 0.000
2 Li 0.191 0.809 0.500
3 Li 0.809 0.191 0.500
4 Mg 0.500 0.500 0.000
5 Ga 0.048 0.574 0.826
6 Ga 0.226 0.226 0.517
7 Ga 0.426 0.952 0.174
8 Ga 0.500 0.500 0.500
9 Ga 0.574 0.048 0.826
10 Ga 0.774 0.774 0.483
11 Ga 0.952 0.426 0.174

=====

5.
# Li2Mg2Ga

Crystalline Li2Mg2Ga at its relaxed geometry (PBE, Alexandria via LeMat-Bulk).

## Properties
Volume, Å³/atom: 18.6
Energy of formation, eV per atom: -0.1535
N(E_F), states/eV/cell: 2.435
DFT total energy, eV/cell: -21.6
Total moment, μB/atom: 0.00

Cell lengths 5.014, 4.729, 8.238 Å; angles 90.00, 107.55, 90.00 degrees
Fractional positions:
1 Li 0.063 0.250 0.302
2 Li 0.106 0.750 0.116
3 Li 0.894 0.250 0.884
4 Li 0.937 0.750 0.698
5 Mg 0.302 0.750 0.493
6 Mg 0.476 0.250 0.104
7 Mg 0.524 0.750 0.896
8 Mg 0.698 0.250 0.507
9 Ga 0.289 0.250 0.704
10 Ga 0.711 0.750 0.296

=====

6.
# Li3Mg6Ga

Crystalline Li3Mg6Ga at its relaxed geometry (PBE, Alexandria via LeMat-Bulk).

## Properties
Volume, Å³/atom: 21.5
Energy of formation, eV per atom: -0.0266
N(E_F), states/eV/cell: 7.679
DFT total energy, eV/cell: -37.2
Total moment, μB/atom: 0.00

Cell lengths 9.508, 9.508, 5.397 Å; angles 90.00, 90.00, 118.32 degrees
Fractional positions:
1 Li 0.116 0.884 0.500
2 Li 0.234 0.458 0.819
3 Li 0.458 0.234 0.319
4 Li 0.542 0.766 0.819
5 Li 0.766 0.542 0.319
6 Li 0.884 0.116 0.000
7 Mg 0.052 0.460 0.264
8 Mg 0.119 0.200 0.453
9 Mg 0.200 0.119 0.953
10 Mg 0.212 0.788 0.047
11 Mg 0.441 0.559 0.323
12 Mg 0.460 0.052 0.764
13 Mg 0.540 0.948 0.264
14 Mg 0.559 0.441 0.823

**Job**
Please return the entries earlier on from the first line to the one with "0.953" without altering anything.

**Response**
Li8AcPd4: relaxed, GGA-PBE.

N(E_F) = 5.47 states/eV/cell
E = -0.1276 hartree per atom

Cell lengths 8.888, 8.888, 5.596 Å; angles 90.00, 90.00, 90.00 degrees
Space group I4/mmm (No. 139)
Unique sites:
1 Li 0.000 0.230 0.000 [8 per cell]
2 Li 0.000 0.351 0.500 [8 per cell]
3 Ac 0.000 0.000 0.500 [2 per cell]
4 Pd 0.250 0.250 0.250 [8 per cell]


1.
# LiMgGa3

Crystalline LiMgGa3 at its relaxed geometry (PBE, Alexandria via LeMat-Bulk).

## Properties
Volume, Å³/atom: 20.2
Energy of formation, eV per atom: 0.1687
N(E_F), states/eV/cell: 2.165
DFT total energy, eV/cell: -11.7
Total moment, μB/atom: 0.00

Cell lengths 4.657, 4.657, 4.657 Å; angles 90.00, 90.00, 90.00 degrees
Fractional positions:
1 Li 0.000 0.000 0.000
2 Mg 0.500 0.500 0.500
3 Ga 0.000 0.000 0.500
4 Ga 0.000 0.500 0.000
5 Ga 0.500 0.000 0.000

=====

2.
# LiMg5Ga

Crystalline LiMg5Ga at its relaxed geometry (PBE, Alexandria via LeMat-Bulk).

## Properties
Volume, Å³/atom: 23.3
Energy of formation, eV per atom: 0.0621
N(E_F), states/eV/cell: 4.166
DFT total energy, eV/cell: -25.0
Total moment, μB/atom: 0.00

Cell lengths 6.041, 6.041, 10.448 Å; angles 110.45, 110.45, 71.67 degrees
Fractional positions:
1 Li 0.082 0.918 0.750
2 Li 0.918 0.082 0.250
3 Mg 0.154 0.386 0.745
4 Mg 0.251 0.526 0.509
5 Mg 0.335 0.665 0.250
6 Mg 0.386 0.154 0.245
7 Mg 0.474 0.749 0.991
8 Mg 0.526 0.251 0.009
9 Mg 0.614 0.846 0.755
10 Mg 0.665 0.335 0.750
11 Mg 0.749 0.474 0.491
12 Mg 0.846 0.614 0.255
13 Ga 0.000 0.500 0.000
14 Ga 0.500 0.000 0.500

=====

3.
# Li5Mg2Ga

Crystalline Li5Mg2Ga at its relaxed geometry (PBE, Alexandria via LeMat-Bulk).

## Properties
Volume, Å³/atom: 18.0
Energy of formation, eV per atom: -0.1395
N(E_F), states/eV/cell: 2.979
DFT total energy, eV/cell: -16.9
Total moment, μB/atom: 0.00

Cell lengths 7.311, 7.311, 7.311 Å; angles 142.43, 142.43, 54.18 degrees
Fractional positions:
1 Li 0.000 0.000 0.000
2 Li 0.111 0.611 0.500
3 Li 0.389 0.889 0.500
4 Li 0.611 0.111 0.500
5 Li 0.889 0.389 0.500
6 Mg 0.260 0.260 0.000
7 Mg 0.740 0.740 0.000
8 Ga 0.500 0.500 0.000

=====

4.
# Li3MgGa7

Crystalline Li3MgGa7 at its relaxed geometry (PBE, Alexandria via LeMat-Bulk).

## Properties
Volume, Å³/atom: 19.2
Energy of formation, eV per atom: -0.0799
N(E_F), states/eV/cell: 3.013
DFT total energy, eV/cell: -29.4
Total moment, μB/atom: 0.00

Cell lengths 6.568, 6.568, 5.431 Å; angles 108.43, 108.43, 84.95 degrees
Fractional positions:
1 Li 0.000 0.000 0.000
2 Li 0.191 0.809 0.500
3 Li 0.809 0.191 0.500
4 Mg 0.500 0.500 0.000
5 Ga 0.048 0.574 0.826
6 Ga 0.226 0.226 0.517
7 Ga 0.426 0.952 0.174
8 Ga 0.500 0.500 0.500
9 Ga 0.574 0.048 0.826
10 Ga 0.774 0.774 0.483
11 Ga 0.952 0.426 0.174

=====

5.
# Li2Mg2Ga

Crystalline Li2Mg2Ga at its relaxed geometry (PBE, Alexandria via LeMat-Bulk).

## Properties
Volume, Å³/atom: 18.6
Energy of formation, eV per atom: -0.1535
N(E_F), states/eV/cell: 2.435
DFT total energy, eV/cell: -21.6
Total moment, μB/atom: 0.00

Cell lengths 5.014, 4.729, 8.238 Å; angles 90.00, 107.55, 90.00 degrees
Fractional positions:
1 Li 0.063 0.250 0.302
2 Li 0.106 0.750 0.116
3 Li 0.894 0.250 0.884
4 Li 0.937 0.750 0.698
5 Mg 0.302 0.750 0.493
6 Mg 0.476 0.250 0.104
7 Mg 0.524 0.750 0.896
8 Mg 0.698 0.250 0.507
9 Ga 0.289 0.250 0.704
10 Ga 0.711 0.750 0.296

=====

6.
# Li3Mg6Ga

Crystalline Li3Mg6Ga at its relaxed geometry (PBE, Alexandria via LeMat-Bulk).

## Properties
Volume, Å³/atom: 21.5
Energy of formation, eV per atom: -0.0266
N(E_F), states/eV/cell: 7.679
DFT total energy, eV/cell: -37.2
Total moment, μB/atom: 0.00

Cell lengths 9.508, 9.508, 5.397 Å; angles 90.00, 90.00, 118.32 degrees
Fractional positions:
1 Li 0.116 0.884 0.500
2 Li 0.234 0.458 0.819
3 Li 0.458 0.234 0.319
4 Li 0.542 0.766 0.819
5 Li 0.766 0.542 0.319
6 Li 0.884 0.116 0.000
7 Mg 0.052 0.460 0.264
8 Mg 0.119 0.200 0.453
9 Mg 0.200 0.119 0.953